Identifying File Types

Files usually have characteristics that allow software packages to identify which type of file it is, as well as what the data within it represents. It wouldn’t make sense to try to open a PNG file in an MP3 music player, so it’s both useful and pragmatic that a file carries with it some form of ID.

This might be a few signature bytes at the very beginning of the file. This allows a file to be explicit about its format and content. Sometimes, the file type is inferred from a distinctive aspect of the internal organization of the data itself, known as the file architecture.

Some operating systems, like Windows, are completely guided by a file’s extension. You can call it gullible or trusting, but Windows assumes any file with the DOCX extension really is a DOCX word processing file. Linux isn’t like that, as you’ll soon see. It wants proof and looks inside the file to find it.

[Records of crystals, kept here for reference]
~~~
IrC4 (PBE, relaxed); density = 9.779 g cm⁻³; volume = 8.16 Å³/atom; formation enthalpy at 0 K = 1.270 eV/atom; symmetry = P3_121; total DFT energy (no corrections) = -7.88 eV per atom; total moment = 0.00 μB/f.u.; distance to the lowest polymorph of the same formula = 690.9 meV/atom
1.0
-1.298 4.378 1.752
-3.117 -3.760 0.260
2.203 -1.460 5.283
C Ir
12 3
direct
0.715 0.557 0.145
0.557 0.715 0.855
0.443 0.157 0.478
0.157 0.443 0.522
0.421 0.421 0.000
0.285 0.843 0.188
0.843 0.285 0.812
0.153 0.000 0.333
0.000 0.153 0.667
0.847 0.847 0.000
0.000 0.579 0.667
0.579 0.000 0.333
0.680 0.680 0.500
0.320 0.000 0.833
0.000 0.320 0.167
~~~

The tools described here were already installed on the Manjaro 20, Fedora 21, and Ubuntu 20.04 distributions we used to research this article. Let’s start our investigation by using the file command.

Using the file Command

We’ve got a collection of different file types in our current directory. They’re a mixture of document, source code, executable, and text files.

The ls command will show us what’s in the directory, and the -hl (human-readable sizes, long listing) option will show us the size of each file:

Let’s try file on a few of these and see what we get:

The three file formats are correctly identified. Where possible, file gives us a bit more information. The PDF file is reported to be in the version 1.5 format.

Even if we rename the ODT file to have an extension with the arbitrary value of XYZ, the file is still correctly identified, both within the Files file browser and on the command line using file.

Within the Files file browser, it’s given the correct icon. On the command line, file ignores the extension and looks inside the file to determine its type:

Using file on media, such as image and music files, usually yields information regarding their format, encoding, resolution, and so on:

Interestingly, even with plain-text files, file doesn’t judge the file by its extension. For example, if you have a file with the “.c” extension, containing standard plain text but not source code, file doesn’t mistake it for a genuine C source code file:

file correctly identifies the header file (“.h”) as part of a C source code collection of files, and it knows the makefile is a script.

Using file with Binary Files

Binary files are more of a “black box” than others. Image files can be viewed, sound files can be played, and document files can be opened by the appropriate software package. Binary files, though, are more of a challenge.

For example, the files “hello” and “wd” are binary executables. They are programs. The file called “wd.o” is an object file. When source code is compiled by a compiler, one or more object files are created. These contain the machine code the computer will eventually execute when the finished program runs, together with information for the linker. The linker checks each object file for function calls to libraries. It links them to any libraries the program uses. The result of this process is an executable file.

The file “watch.exe” is a binary executable that has been cross-compiled to run on Windows:

Taking the last one first, file tells us the “watch.exe” file is a PE32+ executable, console program, for the x86 family of processors on Microsoft Windows. PE stands for portable executable format, which has 32- and 64-bit versions. The PE32 is the 32-bit version, and the PE32+ is the 64-bit version.

The other three files are all identified as Executable and Linkable Format (ELF) files. This is a standard for executable files and shared object files, such as libraries. We’ll take a look at the ELF header format shortly.

What might catch your eye is that the two executables (“wd” and “hello”) are identified as Linux Standard Base (LSB) shared objects, and the object file “wd.o” is identified as an LSB relocatable. The word executable is obvious in its absence.

Object files are relocatable, meaning the code inside them can be loaded into memory at any location. The executables are listed as shared objects because they’ve been created by the linker from the object files in such a way that they inherit this capability.

This allows the Address Space Layout Randomization  (ASMR) system to load the executables into memory at addresses of its choosing. Standard executables have a loading address coded into their headers, which dictate where they’re loaded into memory.

ASMR is a security technique. Loading executables into memory at predictable addresses makes them susceptible to attack. This is because their entry points, and the locations of their functions, will always be known to attackers. Position Independent Executables (PIE) positioned at a random address overcome this susceptibility.

If we compile our program with the gcc compiler and provide the -no-pie option, we’ll generate a conventional executable.

**These crystal structures were left in the article by mistake:**
********
# 1
VASP calculation (PBE) on crystalline Nb3FeS6 at its relaxed geometry.

Geometry as CIF:
```
data_Nb3FeS6
_space_group_name_H-M_alt 'P 63 2 2'
_space_group_IT_number 182
_space_group_name_Hall 'P 6c 2c'
_cell_length_a 5.7789
_cell_length_b 5.7789
_cell_length_c 11.6494
_cell_angle_alpha 90.00
_cell_angle_beta 90.00
_cell_angle_gamma 120.00
loop_
_atom_site_label
_atom_site_type_symbol
_atom_site_fract_x
_atom_site_fract_y
_atom_site_fract_z
Nb1 Nb 0.0000 0.0000 0.0000
Nb2 Nb 0.3333 0.6667 0.0051
Fe1 Fe 0.3333 0.6667 0.7500
S1 S 0.0080 0.3390 0.6359
```

Results
**ΔE_f**: -1306 meV per atom

=====

# 2
VASP calculation (PBE) on crystalline LiSiAg2 at its relaxed geometry.

Geometry as CIF:
```
data_LiSiAg2
_space_group_name_H-M_alt 'F -4 3 m'
_space_group_IT_number 216
_space_group_name_Hall 'F -4 2 3'
_cell_length_a 6.3799
_cell_length_b 6.3799
_cell_length_c 6.3799
_cell_angle_alpha 90.00
_cell_angle_beta 90.00
_cell_angle_gamma 90.00
loop_
_atom_site_label
_atom_site_type_symbol
_atom_site_fract_x
_atom_site_fract_y
_atom_site_fract_z
Li1 Li 0.0000 0.0000 0.0000
Si1 Si 0.2500 0.2500 0.2500
Ag1 Ag 0.0000 0.0000 0.5000
Ag2 Ag 0.2500 0.2500 0.7500
```

Results
**ΔE_f**: -1 meV per atom
**Size of the total moment**: 0.0 μB per formula unit

=====

# 3
VASP calculation (PBE) on crystalline YN at its relaxed geometry.

Geometry as CIF:
```
data_YN
_space_group_name_H-M_alt 'F m -3 m'
_space_group_IT_number 225
_space_group_name_Hall '-F 4 2 3'
_cell_length_a 4.9191
_cell_length_b 4.9191
_cell_length_c 4.9191
_cell_angle_alpha 90.00
_cell_angle_beta 90.00
_cell_angle_gamma 90.00
loop_
_atom_site_label
_atom_site_type_symbol
_atom_site_fract_x
_atom_site_fract_y
_atom_site_fract_z
Y1 Y 0.0000 0.0000 0.0000
N1 N 0.0000 0.0000 0.5000
```

Results
**ΔE_f**: -1867 meV per atom

=====

# 4
VASP calculation (PBE) on crystalline CsBaSiHO4 at its relaxed geometry.

Geometry as CIF:
```
data_CsBaSiHO4
_space_group_name_H-M_alt 'P 1 21 1'
_space_group_IT_number 4
_cell_length_a 6.1207
_cell_length_b 8.3426
_cell_length_c 6.1241
_cell_angle_alpha 90.00
_cell_angle_beta 118.25
_cell_angle_gamma 90.00
loop_
_space_group_symop_operation_xyz
'x,y,z'
'-x,y+1/2,-z'
loop_
_atom_site_label
_atom_site_type_symbol
_atom_site_fract_x
_atom_site_fract_y
_atom_site_fract_z
Cs1 Cs 0.1357 0.0000 0.2767
Ba1 Ba 0.4834 0.2530 0.9896
Si1 Si 0.1925 0.5158 0.3835
H1 H 0.0172 0.2832 0.4608
O1 O 0.0092 0.1639 0.6972
O2 O 0.0087 0.3444 0.3155
O3 O 0.3462 0.5068 0.2259
O4 O 0.3738 0.5107 0.6848
```

Results
**ΔE_f**: -2662 meV per atom
**Size of the total moment**: 0.0 μB per formula unit

=====

# 5
VASP calculation (PBE) on crystalline Mg4CuO5 at its relaxed geometry.

Geometry as CIF:
```
data_Mg4CuO5
_space_group_name_H-M_alt 'I 4/m m m'
_space_group_IT_number 139
_space_group_name_Hall '-I 4 2'
_cell_length_a 3.0079
_cell_length_b 3.0079
_cell_length_c 21.2554
_cell_angle_alpha 90.00
_cell_angle_beta 90.00
_cell_angle_gamma 90.00
loop_
_atom_site_label
_atom_site_type_symbol
********
**So much for the crystal structures:**

The -o (output file) option lets us provide a name for our executable:

We’ll use file on the new executable and see what has changed:

The size of the executable is the same as before (17 KB):

The binary is now identified as a standard executable. We’re doing this for demonstration purposes only. If you compile applications this way, you’ll lose all advantages of the ASMR.

Why Is an Executable So Big?

Our example hello program is 17 KB, so it could hardly be called big, but then, everything’s relative. The source code is 120 bytes:

What’s bulking out the binary if all it does is print one string to the terminal window? We know there’s an ELF header, but that’s only 64-bytes long for a 64-bit binary. Plainly, it must be something else:

Let’s scan the binary with the strings command as a simple first step to discover what’s inside it. We’ll pipe it into less:

There are many strings inside the binary, besides the “Hello, Geek world!” from our source code. Most of them are labels for regions within the binary, and the names and linking information of shared objects. These include the libraries, and functions within those libraries, on which the binary depends.

The ldd command shows us the shared object dependencies of a binary:

There are three entries in the output, and two of them include a directory path (the first does not):

linux-vdso. so: Virtual Dynamic Shared Object (VDSO) is a kernel mechanism that allows a set of kernel-space routines to be accessed by a user-space binary. This avoids the overhead of a context switch from user kernel mode. VDSO shared objects adhere to the Executable and Linkable Format (ELF) format, allowing them to be dynamically linked to the binary at runtime. The VDSO is dynamically allocated and takes advantage of ASMR. The VDSO capability is provided by the standard GNU C Library if the kernel supports the ASMR scheme. libc. so. 6: The GNU C Library shared object. /lib64/ld-linux-x86-64. so. 2: This is the dynamic linker the binary wants to use. The dynamic linker interrogates the binary to discover what dependencies it has. It launches those shared objects into memory. It prepares the binary to run and be able to find and access the dependencies in memory. Then, it launches the program.

The ELF Header

We can examine and decode the ELF header using the readelf utility and the -h (file header) option:

The header is interpreted for us.

The first byte of all ELF binaries is set to hexadecimal value 0x7F. The next three bytes are set to 0x45, 0x4C, and 0x46. The first byte is a flag that identifies the file as an ELF binary. To make this crystal clear, the next three bytes spell out “ELF” in ASCII:

Class: Indicates whether the binary is a 32- or 64-bit executable (1=32, 2=64). Data: Indicates the endianness in use. Endian encoding defines the way in which multibyte numbers are stored. In big-endian encoding, a number is stored with its most significant bits first. In little-endian encoding, the number is stored with its least significant bits first. Version: The version of ELF (currently, it’s 1). OS/ABI: Represents the type of application binary interface in use. This defines the interface between two binary modules, such as a program and a shared library. ABI Version: The version of the ABI. Type: The type of ELF binary. The common values are ET_REL for a relocatable resource (such as an object file), ET_EXEC for an executable compiled with the -no-pie flag, and ET_DYN for an ASMR-aware executable. Machine: The instruction set architecture. This indicates the target platform for which the binary was created. Version: Always set to 1, for this version of ELF. Entry Point Address: The memory address within the binary at which execution commences.

The other entries are sizes and numbers of regions and sections within the binary so their locations can be calculated.

A quick peek at the first eight bytes of the binary with hexdump will show the signature byte and “ELF” string in the first four bytes of the file. The -C (canonical) option gives us the ASCII representation of the bytes alongside their hexadecimal values, and the -n (number) option lets us specify how many bytes we want to see:

objdump and the Granular View

If you want to see the nitty-gritty detail, you can use the objdumpcommand with the -d (disassemble) option:

This disassembles the executable machine code and displays it in hexadecimal bytes alongside the assembly language equivalent. The address location of the first bye in each line is shown on the far left.

This is only useful if you can read assembly language, or you’re curious what goes on behind the curtain. There’s a lot of output, so we piped it into less.

Compiling and Linking

There are many ways to compile a binary. For example, the developer chooses whether to include debugging information. The way the binary is linked also plays a role in its contents and size. If the binary references share objects as external dependencies, it will be smaller than one to which the dependencies statically link.

Most developers already know the commands we’ve covered here. For others, though, they offer some easy ways to rummage around and see what lies inside the binary black box.